**Contents**
=====
The following is a quantum chemistry calculation of a structure of composition C34H38AlN3O9S2 in a non-equilibrium geometry, from the Open Molecules 2025 dataset.

```
87
Properties=species:S:1:pos:R:3
Al -0.5256 2.0692 -0.3787
N 0.2954 2.3337 -2.2146
C 1.2484 3.4985 -2.4278
C 0.7501 4.8121 -1.8382
C 0.7503 5.0028 -0.3165
N 0.4003 3.7170 0.3878
H 0.8687 1.4313 -2.3360
H -0.3500 2.3900 -3.0477
H 1.3401 3.5124 -3.5509
H 2.1690 3.1733 -1.9791
H -0.2465 4.9930 -2.2948
H 1.4155 5.6493 -2.2527
H 0.0816 5.8113 -0.0587
H 1.7311 5.3560 0.0252
H -0.2360 3.8997 1.1492
H 1.2363 3.3207 0.7465
C 0.9399 -4.2426 0.9333
C 0.4841 -3.3308 -0.2250
C 0.2271 -4.1391 -1.4776
O -0.7687 -2.7617 0.2389
C -0.7990 -1.4685 -0.3943
C 0.7167 -1.0448 -0.5255
O 1.3939 -2.2970 -0.5854
C 1.5195 -0.0684 0.3990
O 0.8110 1.1977 0.4299
C 1.8388 -0.5631 1.8237
C 1.1655 -0.0853 2.9515
C 1.5109 -0.6165 4.1908
C 2.6578 -1.4600 4.2831
C 3.2558 -1.9159 3.1449
C 2.9222 -1.4664 1.8939
C 2.8563 0.2013 -0.2720
C 3.2177 -0.3117 -1.5000
C 4.3756 0.0564 -2.1633
C 5.2259 1.0345 -1.6633
C 4.9040 1.5502 -0.3964
C 3.7149 1.2086 0.2355
C -1.8989 -0.4781 0.1894
O -1.7916 0.8058 -0.3212
C -3.2341 -1.1038 -0.3883
C -3.4591 -1.0812 -1.8073
C -4.6281 -1.5831 -2.3376
C -5.6409 -2.0574 -1.4447
C -5.3779 -2.0932 -0.0701
C -4.1881 -1.6468 0.4525
C -2.0250 -0.4249 1.7239
C -1.6887 -1.3604 2.7007
C -1.8483 -1.0738 4.0230
C -2.4540 0.1162 4.4898
C -2.7243 1.0793 3.5310
C -2.6509 0.7921 2.1691
H 0.1307 -4.9318 1.0465
H 1.0704 -3.6196 1.7960
H 1.8818 -4.7417 0.7223
H -0.6080 -4.8048 -1.3272
H 1.0974 -4.7854 -1.6230
H 0.1605 -3.6480 -2.4540
H -1.1280 -1.6701 -1.4267
H 0.7398 -0.5649 -1.5401
H 0.4650 0.7261 2.9105
H 0.9903 -0.3552 5.1323
H 2.9199 -1.9007 5.2922
H 4.0801 -2.6075 3.2742
H 3.4947 -1.7085 1.0349
H 2.5853 -1.0883 -1.9923
H 4.6837 -0.4800 -3.0623
H 5.9060 1.6235 -2.2657
H 5.5847 2.2978 0.0579
H 3.5755 1.6378 1.2297
H -2.7206 -0.7064 -2.5753
H -4.7059 -1.5679 -3.4477
H -6.6309 -2.3180 -1.8275
H -6.1858 -2.4615 0.5775
H -3.9316 -1.7516 1.4913
H -1.2765 -2.3657 2.4058
H -1.4468 -1.7371 4.7826
H -2.7857 0.0819 5.5350
H -3.0306 2.0794 3.8254
H -3.2375 1.3845 1.5271
O -0.9110 1.1932 -4.4077
S -1.0008 -0.2520 -4.7458
O -2.1605 -0.9568 -4.1293
O -0.9037 -0.5780 -6.1578
S 0.6533 -1.1425 -3.7005
O -2.2406 3.8616 1.1829
N -2.5725 4.1290 -0.0350
O -2.0307 3.3912 -0.9519
```

The spin multiplicity is 1. The calculation puts the calculated total energy at -3198.753022 Eh. The HOMO-LUMO gap comes out at 5.09 eV. As for the total charge: -2. For the molar mass, the calculation gives 723.81 g/mol. The HOMO energy is -1.08 eV.

The net atomic charges from Mulliken, expressed in e, are: 0.04 0.26 -0.60 -0.59 -0.80 -0.13 -0.33 0.57 0.48 0.23 0.28 0.45 0.28 0.41 0.40 0.23 -1.86 1.37 -1.72 -0.38 -0.29 1.45 -0.16 2.60 -0.57 0.55 -0.25 -0.51 -0.73 -0.92 -0.48 -0.38 0.40 -1.08 -0.55 -0.76 -0.64 2.27 -0.31 0.12 -0.39 -0.93 -0.54 -0.88 -0.51 -0.69 1.18 -0.60 -0.70 -0.82 -1.00 0.45 0.34 0.37 0.31 0.48 0.20 0.41 -1.88 0.06 0.42 0.24 0.36 0.56 0.15 0.42 0.33 0.28 0.32 0.57 0.38 0.33 0.34 0.50 0.04 0.45 0.33 0.41 0.49 -0.76 0.91 -0.70 -0.67 -0.46 -0.41 0.17 -0.23

***

The following is a quantum chemistry calculation of a structure of composition C14H45Ag2N12O8 in a non-equilibrium geometry, from the Open Molecules 2025 dataset.

```
81
Properties=species:S:1:pos:R:3
Ag -0.2876 3.3069 -2.3999
Ag -1.8272 1.9053 0.3406
C 0.6979 0.1595 -1.0934
O -0.4008 0.9185 -1.4739
H 1.2972 0.4633 -0.2351
H 0.3712 -0.7176 -0.5348
H 1.3764 0.0193 -1.9349
C -0.6595 -0.6140 3.7290
C -1.7018 0.4648 3.1909
C -2.5522 1.3820 4.1284
O -3.7023 0.6646 4.5217
C -4.5295 1.5329 5.2690
N -0.9332 1.3248 2.4332
H -0.1584 -1.1597 2.9295
H -1.1041 -1.3025 4.4477
H 0.1217 -0.0049 4.1837
H -2.3290 0.0069 2.4260
H -2.8465 2.3167 3.6512
H -2.0079 1.7781 4.9857
H -5.2387 1.0221 5.9203
H -5.0941 2.1358 4.5577
H -3.9307 2.2153 5.8722
H -0.2890 1.7288 3.0979
H -0.2125 0.7890 1.9709
C -3.3211 -3.4822 -2.9212
C -2.7913 -2.4017 -1.9920
C -2.3743 -2.9429 -0.6128
=====

**Exercise**
Your job: retype everything further above exactly.

**Done**
The following is a quantum chemistry calculation of a structure of composition C34H38AlN3O9S2 in a non-equilibrium geometry, from the Open Molecules 2025 dataset.

```
87
Properties=species:S:1:pos:R:3
Al -0.5256 2.0692 -0.3787
N 0.2954 2.3337 -2.2146
C 1.2484 3.4985 -2.4278
C 0.7501 4.8121 -1.8382
C 0.7503 5.0028 -0.3165
N 0.4003 3.7170 0.3878
H 0.8687 1.4313 -2.3360
H -0.3500 2.3900 -3.0477
H 1.3401 3.5124 -3.5509
H 2.1690 3.1733 -1.9791
H -0.2465 4.9930 -2.2948
H 1.4155 5.6493 -2.2527
H 0.0816 5.8113 -0.0587
H 1.7311 5.3560 0.0252
H -0.2360 3.8997 1.1492
H 1.2363 3.3207 0.7465
C 0.9399 -4.2426 0.9333
C 0.4841 -3.3308 -0.2250
C 0.2271 -4.1391 -1.4776
O -0.7687 -2.7617 0.2389
C -0.7990 -1.4685 -0.3943
C 0.7167 -1.0448 -0.5255
O 1.3939 -2.2970 -0.5854
C 1.5195 -0.0684 0.3990
O 0.8110 1.1977 0.4299
C 1.8388 -0.5631 1.8237
C 1.1655 -0.0853 2.9515
C 1.5109 -0.6165 4.1908
C 2.6578 -1.4600 4.2831
C 3.2558 -1.9159 3.1449
C 2.9222 -1.4664 1.8939
C 2.8563 0.2013 -0.2720
C 3.2177 -0.3117 -1.5000
C 4.3756 0.0564 -2.1633
C 5.2259 1.0345 -1.6633
C 4.9040 1.5502 -0.3964
C 3.7149 1.2086 0.2355
C -1.8989 -0.4781 0.1894
O -1.7916 0.8058 -0.3212
C -3.2341 -1.1038 -0.3883
C -3.4591 -1.0812 -1.8073
C -4.6281 -1.5831 -2.3376
C -5.6409 -2.0574 -1.4447
C -5.3779 -2.0932 -0.0701
C -4.1881 -1.6468 0.4525
C -2.0250 -0.4249 1.7239
C -1.6887 -1.3604 2.7007
C -1.8483 -1.0738 4.0230
C -2.4540 0.1162 4.4898
C -2.7243 1.0793 3.5310
C -2.6509 0.7921 2.1691
H 0.1307 -4.9318 1.0465
H 1.0704 -3.6196 1.7960
H 1.8818 -4.7417 0.7223
H -0.6080 -4.8048 -1.3272
H 1.0974 -4.7854 -1.6230
H 0.1605 -3.6480 -2.4540
H -1.1280 -1.6701 -1.4267
H 0.7398 -0.5649 -1.5401
H 0.4650 0.7261 2.9105
H 0.9903 -0.3552 5.1323
H 2.9199 -1.9007 5.2922
H 4.0801 -2.6075 3.2742
H 3.4947 -1.7085 1.0349
H 2.5853 -1.0883 -1.9923
H 4.6837 -0.4800 -3.0623
H 5.9060 1.6235 -2.2657
H 5.5847 2.2978 0.0579
H 3.5755 1.6378 1.2297
H -2.7206 -0.7064 -2.5753
H -4.7059 -1.5679 -3.4477
H -6.6309 -2.3180 -1.8275
H -6.1858 -2.4615 0.5775
H -3.9316 -1.7516 1.4913
H -1.2765 -2.3657 2.4058
H -1.4468 -1.7371 4.7826
H -2.7857 0.0819 5.5350
H -3.0306 2.0794 3.8254
H -3.2375 1.3845 1.5271
O -0.9110 1.1932 -4.4077
S -1.0008 -0.2520 -4.7458
O -2.1605 -0.9568 -4.1293
O -0.9037 -0.5780 -6.1578
S 0.6533 -1.1425 -3.7005
O -2.2406 3.8616 1.1829
N -2.5725 4.1290 -0.0350
O -2.0307 3.3912 -0.9519
```

The spin multiplicity is 1. The calculation puts the calculated total energy at -3198.753022 Eh. The HOMO-LUMO gap comes out at 5.09 eV. As for the total charge: -2. For the molar mass, the calculation gives 723.81 g/mol. The HOMO energy is -1.08 eV.

The net atomic charges from Mulliken, expressed in e, are: 0.04 0.26 -0.60 -0.59 -0.80 -0.13 -0.33 0.57 0.48 0.23 0.28 0.45 0.28 0.41 0.40 0.23 -1.86 1.37 -1.72 -0.38 -0.29 1.45 -0.16 2.60 -0.57 0.55 -0.25 -0.51 -0.73 -0.92 -0.48 -0.38 0.40 -1.08 -0.55 -0.76 -0.64 2.27 -0.31 0.12 -0.39 -0.93 -0.54 -0.88 -0.51 -0.69 1.18 -0.60 -0.70 -0.82 -1.00 0.45 0.34 0.37 0.31 0.48 0.20 0.41 -1.88 0.06 0.42 0.24 0.36 0.56 0.15 0.42 0.33 0.28 0.32 0.57 0.38 0.33 0.34 0.50 0.04 0.45 0.33 0.41 0.49 -0.76 0.91 -0.70 -0.67 -0.46 -0.41 0.17 -0.23

***

The following is a quantum chemistry calculation of a structure of composition C14H45Ag2N12O8 in a non-equilibrium geometry, from the Open Molecules 2025 dataset.

```
81
Properties=species:S:1:pos:R:3
Ag -0.2876 3.3069 -2.3999
Ag -1.8272 1.9053 0.3406
C 0.6979 0.1595 -1.0934
O -0.4008 0.9185 -1.4739
H 1.2972 0.4633 -0.2351
H 0.3712 -0.7176 -0.5348
H 1.3764 0.0193 -1.9349
C -0.6595 -0.6140 3.7290
C -1.7018 0.4648 3.1909
C -2.5522 1.3820 4.1284
O -3.7023 0.6646 4.5217
C -4.5295 1.5329 5.2690
N -0.9332 1.3248 2.4332
H -0.1584 -1.1597 2.9295
H -1.1041 -1.3025 4.4477
H 0.1217 -0.0049 4.1837
H -2.3290 0.0069 2.4260
H -2.8465 2.3167 3.6512
H -2.0079 1.7781 4.9857
H -5.2387 1.0221 5.9203
H -5.0941 2.1358 4.5577
H -3.9307 2.2153 5.8722
H -0.2890 1.7288 3.0979
H -0.2125 0.7890 1.9709
C -3.3211 -3.4822 -2.9212
C -2.7913 -2.4017 -1.9920
C -2.3743 -2.9429 -0.6128